Đặt câu với từ "fought"

1. We fought - we fought as hard as we could .

2. I fought him.

3. You fought with honor.

4. Knights fought in armor.

5. They fought back heroically.

6. It's better to have fought and lost, than never to have fought at all.

7. We fought for decolonization.

8. He fought in Vietnam.

9. Knights fought in armour.

10. He fought energetically against apartheid.

11. The Romulans fought with honour.

12. Both men fought at Gettysburg.

13. She fought with crazed ferocity.

14. The Gettysburg Address memorialized both the soldiers who fought and the nation they fought for. Sentencedict.com

15. Past Battles Fought Near Megiddo

16. 16 The soldiers fought gallantly.

17. You fought in the forest?

18. Alexander fought with his Companion cavalry.

19. 16 She fought tooth and nail.

20. 8 They fought tooth and nail.

21. You fought bravely today, Lady Brienne.

22. The aggressors were fiercely fought back.

23. They fought bravely against the enemy.

24. 3.5 million Ukrainians fought with the Imperial Russian Army, while 250,000 fought for the Austro-Hungarian Army.

25. Terrible wars continue to be fought.

26. The men fought harder for him.

27. WARS have been fought over it.

28. The Conquistadors often fought each other

29. The Templars fought against the King.

30. Regional monopolies were bitterly fought for.

31. The game had been cleanly fought.

32. They fought to the bitter end.

33. She fought heroically against the disease.

34. They fought to defend the realm.

35. Two Civil War battles fought here.

36. We fought to the last man.

37. Marco: “Is this where the gladiators fought?”

38. Fought so hard, he retired into retail.

39. Your son was the best I've fought.

40. Grandfather fought side by side with Mao.

41. They have fought too long and hard...

42. Giving up the ground we fought for.

43. My grandfather fought in two world wars.

44. The second stage was fought when soldiers from the U.S. 101st Airborne Division fought to clear and secure the city.

45. The first stage of the battle was fought when the US 3rd Infantry Division fought to surround the town.

46. They must have fought before they died.

47. He fought his way through the blizzard.

48. He fought hard to overcome his disability.

49. Harvey's prosecution, everything he fought for undone.

50. Long ago we fought and died together.

51. They fought bravely right to the finish.

52. Police fought a pitched battle against demonstrators.

53. The lioness fought to protect her young.

54. She fought him desperately, kicking and biting.

55. I have fought many wars, Master Dwarf.

56. You fought like hell to get it.

57. The contest should be very keenly fought.

58. I've fought many wars in my time.

59. They fought for control of the islands.

60. 12 The boxer has fought many opponents.

61. My grandfather fought in World War II.

62. She fought to be here, fought the politicians and the bureaucracy, and convinced them to take a chance on her.

63. Two tribes, Hutu and Tutsi, fought each other.

64. She fought off the hyenas with that stick.

65. The siege itself was a hard-fought battle.

66. Dastan has fought hard today, perhaps too hard.

67. He fought back the impulse to slap her.

68. 2 They fought incompetence, inclement weather and indifference.

69. 11 It was futile,[www.Sentencedict.com]still they fought.

70. The two brothers fought together against their attackers.

71. Successive governments have fought shy of such measures.

72. DNA discovery battles are still being strenuously fought.

73. The Amazons fought a war against the Mygdonians

74. We've fought many battles and won great victories.

Entry 1:
Here is an optimized crystal structure of AlFe4Hg2O2F from the Materials Project. Energies are from GGA+U. Values from VASP.

Calculated values
energy of formation from the pure elements = -2.26 eV/f.u.
space group = I4cm, No. 108
M_tot = 16.0 μB per formula unit
calculated total energy = -4.144 eV per atom
ΔE to the lowest computed polymorph = 0.000 eV/atom

```
&SYSTEM
  ibrav = 0, nat = 20, ntyp = 5
/
ATOMIC_SPECIES
Hg 200.59 Hg.upf
Fe 55.84 Fe.upf
Al 26.98 Al.upf
O 16.00 O.upf
F 19.00 F.upf
ATOMIC_POSITIONS angstrom
Hg 3.479 -1.518 4.821
Hg 1.518 6.515 0.167
Hg 1.518 3.479 4.821
Hg 3.479 1.518 0.167
Fe 5.393 -2.789 2.881
Fe 5.393 2.789 -1.773
Fe 2.789 5.393 2.881
Fe -2.789 4.601 2.881
Fe 4.601 2.789 2.881
Fe 2.208 0.396 2.881
Fe 2.789 4.601 -1.773
Fe -0.396 2.208 2.881
Al 0.000 0.000 1.492
Al 0.000 0.000 6.146
O 3.364 1.633 3.627
O 1.633 3.364 -1.027
O -1.633 3.364 3.627
O 6.630 1.633 -1.027
F 0.000 0.000 4.398
F 0.000 0.000 9.052
CELL_PARAMETERS angstrom
-4.997 4.997 4.654
4.997 -4.997 4.654
4.997 4.997 -4.654
```

Entry 2:
Here is an optimized crystal structure of KAlFe2F2 from the Materials Project. Energies are from GGA+U. Values from VASP.

Calculated values
energy of formation from the pure elements = -3.05 eV/f.u.
space group = P4/mbm, No. 127
M_tot = 6.4 μB per formula unit
calculated total energy = -3.873 eV per atom

```
&SYSTEM
  ibrav = 0, nat = 12, ntyp = 4
/
ATOMIC_SPECIES
F 19.00 F.upf
K 39.10 K.upf
Fe 55.84 Fe.upf
Al 26.98 Al.upf
ATOMIC_POSITIONS angstrom
F 0.000 0.000 4.802
F 3.233 3.233 4.802
F 0.000 0.000 1.848
F 3.233 3.233 1.848
K 0.000 3.233 3.325
K 3.233 0.000 3.325
Fe 0.951 4.184 0.000
Fe 5.516 2.282 0.000
Fe 4.184 5.516 0.000
Fe 2.282 0.951 0.000
Al 3.233 3.233 0.000
Al 0.000 0.000 0.000
CELL_PARAMETERS angstrom
6.467 0.000 0.000
0.000 6.467 0.000
0.000 0.000 6.650
```

Entry 3:
Here is an optimized crystal structure of Na2AlFeF7 from the Materials Project. Energies are from GGA+U. Values from VASP.

Calculated values
energy of formation from the pure elements = -35.46 eV/f.u.
space group = C2/c, No. 15
M_tot = 4.0 μB per formula unit
calculated total energy = -5.294 eV per atom

```
&SYSTEM
  ibrav = 0, nat = 88, ntyp = 4
/
ATOMIC_SPECIES
F 19.00 F.upf
Na 22.99 Na.upf
Al 26.98 Al.upf
Fe 55.84 Fe.upf
ATOMIC_POSITIONS angstrom
F 0.014 -7.690 12.683
F -0.431 -10.084 10.194
F 1.184 -5.692 4.505
F -4.084 -12.230 15.116
F -3.014 -5.679 4.582
F -2.087 -13.105 6.127
F -0.450 -8.488 20.928
F -0.770 -5.179 12.487
F -4.001 -7.617 16.367
F -3.008 -13.099 19.879
F -2.938 -15.719 22.373
F -3.889 -10.594 20.033
F -2.979 -7.795 9.318
F -0.741 -4.845 3.069
F -2.491 -4.251 0.748
F -2.715 -6.820 1.701
F -2.514 -5.136 8.997
F -1.235 -12.808 13.951
F -3.318 -7.860 12.754
F -3.284 -7.947 19.710
F -4.933 -12.252 18.443
F -0.465 -9.997 3.238
F -4.275 -12.274 22.069
F -2.403 -11.983 1.844
F -3.299 -9.456 2.020
F -0.811 -2.225 0.575
F -0.731 -3.136 9.199
F -1.662 -4.838 16.821
F -1.890 -6.753 6.535
F -0.770 -10.149 13.630

75. I once fought Shark Yan, the Boxing Champion.

76. We brawled and scrapped and fought for hours

77. We fought our way through the dense vegetation.

78. Decisive Biblical battles were also fought near Megiddo.

79. As a youth, he fought the giant Goliath.

80. 23 I fought to keep back my tears.